┌──
Entry 1:
ORCA calculation (the ωB97M-V functional and the def2-TZVPD basis) on the molecule C4H8O2.

Structure (XYZ):
```
14
Properties=species:S:1:pos:R:3:forces:R:3
O -1.055516 1.480487 -1.010522 -0.41 -0.31 0.47
C -1.542591 0.931279 -0.041935 0.17 0.26 -0.31
C -0.855382 -0.151453 0.752118 -0.04 0.01 -0.06
C 0.107838 -0.971165 -0.112468 0.01 -0.05 -0.04
C 1.490180 -0.301472 -0.295775 0.15 -0.40 -0.01
O 1.509505 1.088999 -0.074944 -0.08 0.15 -0.17
H -2.556620 1.229495 0.294404 0.14 -0.01 0.01
H -1.620617 -0.775240 1.230950 0.12 0.09 -0.14
H -0.307758 0.354142 1.559917 -0.09 -0.03 -0.06
H 0.249130 -1.959348 0.343596 0.00 0.19 -0.09
H -0.362467 -1.141841 -1.088862 0.09 0.05 0.15
H 2.195852 -0.716238 0.428282 -0.07 0.01 -0.01
H 1.878100 -0.549011 -1.295300 -0.05 0.04 0.15
H 0.870341 1.481362 -0.689460 0.07 0.00 0.10
```
Positions in Å, forces in eV/Å.

Values from the calculation:
Kohn-Sham gap: 0.4040 hartree
Energy above the lowest of the compared OMol25 structures with the same formula, charge and spin: 116.22 kJ/mol
Highest occupied orbital energy: -10.1 eV
2S+1: 1
Structure (SMILES): O=CCCCO

---

Entry 2:
ORCA calculation (the ωB97M-V functional and the def2-TZVPD basis) on the molecule CH5FN2.

Structure (XYZ):
```
9
Properties=species:S:1:pos:R:3:forces:R:3
C -0.141526 -0.361099 0.383010 2.13 -1.07 0.22
N 0.512930 -0.058557 -0.904051 -1.46 3.28 0.13
N -0.197596 1.266806 -1.506020 3.22 -3.25 -0.06
F -0.357313 2.204560 -0.513330 -0.22 0.53 1.03
H -0.270720 -1.419962 0.328411 -0.19 -0.83 0.68
H 0.458623 -0.054825 1.253793 0.18 -0.42 -0.28
H -1.041148 0.079483 0.620619 -2.31 1.15 -0.37
H 1.454529 0.167628 -0.557031 -0.25 0.62 -1.27
H -1.090873 0.824727 -1.570608 -1.10 -0.02 -0.07
```
Positions in Å, forces in eV/Å.

Values from the calculation:
Kohn-Sham gap: 0.4171 hartree
Energy above the lowest of the compared OMol25 structures with the same formula, charge and spin: 332.59 kJ/mol
Highest occupied orbital energy: -10.3 eV
2S+1: 1
Structure (SMILES): CNNF

---

Entry 3:
ORCA calculation (the ωB97M-V functional and the def2-TZVPD basis) on a structure of composition C9H12O2SiTl.

Structure (XYZ):
```
25
Properties=species:S:1:pos:R:3:forces:R:3
Tl 0.092066 -1.802485 2.090716 0.07 0.04 0.04
O 1.422724 -2.649251 3.879435 -0.13 0.20 -0.20
C 0.927502 -3.787335 3.696216 0.13 -0.25 0.22
O 0.080088 -4.036467 2.795588 -0.10 0.35 -0.22
H 1.241946 -4.610589 4.348868 0.00 -0.01 0.00
C 1.317039 1.734296 1.404057 0.03 0.12 0.02
Si -0.226948 1.159956 0.601766 0.13 -0.48 0.21
C -1.846038 1.510530 1.375237 -0.07 -0.09 0.15
C -0.150526 0.592730 -1.109551 -0.01 -0.06 -0.04
C 0.811052 1.148180 -1.966257 0.03 -0.06 0.04
C 0.813822 0.819660 -3.310805 -0.01 0.02 -0.07
C -0.124496 -0.076727 -3.805806 0.02 0.01 0.07
C -1.049979 -0.674348 -2.955561 -0.02 -0.02 -0.02
C -1.071579 -0.336469 -1.616072 -0.05 0.11 -0.06
H 1.506599 2.783410 1.152648 -0.01 0.00 0.00
H 2.174022 1.150968 1.066975 0.00 0.01 -0.03
H 1.244817 1.668118 2.490250 -0.02 0.03 0.00
H -2.180547 2.505080 1.060675 0.04 0.01 -0.04
H -1.777800 1.509426 2.463461 -0.01 0.02 0.00
H -2.608497 0.796168 1.063243 0.00 0.02 -0.04
H 1.550714 1.844004 -1.586731 0.00 0.01 -0.02
H 1.545764 1.260710 -3.973385 -0.01 0.01 0.00
H -0.135509 -0.313865 -4.861150 0.04 -0.04 0.01
H -1.755441 -1.396434 -3.343351 -0.01 0.02 -0.01
H -1.800792 -0.799264 -0.960465 -0.04 0.03 -0.02
```
Positions in Å, forces in eV/Å.

Values from the calculation:
Kohn-Sham gap: 0.2945 hartree
Energy above the lowest of the compared OMol25 structures with the same formula, charge and spin: 20.48 kJ/mol
Highest occupied orbital energy: -12.9 eV
Total charge: +1
2S+1: 1

---

> Look up the 2S+1 of the first one.

1

----------

(1)
Below is C18H15ClFe as an isolated structure at a distorted geometry, with properties calculated with ωB97M-V with the def2-TZVPD basis set.

Last column: Löwdin spin population.
Element x y z (Å)
1 C -1.190 0.596 -2.107  0.08
2 C -1.481 -0.794 -2.050  0.06
3 C -0.184 -1.487 -1.983  0.18
└──

Say how many lines of the contents further above hold the word "with", as a bare number.

4